Austausch (Exchange)

Looking for Exchange Program 2023/2024 information? All information is shared via email and collected in the "2024 Dante/SHMS Exchange Program" Google Classroom. *This will move to Schoology in January 2024. Ask your traveler for access to the Google Classroom or email Frau Shipeck with any questions! 

All photos by S. Shipeck, 2018-2019.

Strath Haven Middle School has a long-standing relationship with the Dante Gymnasium in Munich, Germany. 8th grade German students have the opportunity to host a visiting student from Munich and to visit that student as well. This program is a direct exchange, which means that it is organized by the partner teachers and facilitated by the host families. Students will be able to experience daily life as an 8th grader in another country, as well as take part in cultural and linguistic immersion. This enriching opportunity is a chance for students to develop as cultural ambassadors and make lifelong friends!  Don't just take it from me:

"I really hope the seventh and sixth graders will end up going on the exchange. This was a really nice experience that I would recommend to almost everyone and the teachers involved did amazing jobs helping students adjust once in Germany." - Roland, '23 participant

Interested? Participation is determined by application. Student engagement in and dedication to German is considered, as well as readiness/suitability (determined via reflective essay prompts). Please see the detailed prerequisite requirements below. 

Students who wish to participate must:

***In a typical program year, the German students visit us in October and we travel to Germany in May. Accepted students participate in the "German Travelers Club" orientation program (meeting roughly 1x/month) to prepare to host and travel. 

The program cost has historically been ~$1600-2200 (paid in installments throughout the year) and includes flight to/from Germany, participation in the hosting field trip to New York (including lunch and admission to selected activities), and group activities in Munich. Price is subject to change based on inflation/economic circumstances.

More student testimonials: 

What was your favorite part of hosting an exchange student?
I did have two exchange students, and being their tour guide and friend at the same time was fun. - Vivian, 23 
Seeing his reactions to American culture. - Roland, '23
I liked connecting and learning more about my exchange student. - 8th grader, '23
Showing her all the things that are normal for me but exciting for her - Line, '23
About more German culture and about good hospitality - Lucas, '23 

What's something you learned from hosting an exchange student?
I learned that language is the only difference between us. - Vivian, '23
That the exchange students were fascinated by Walmart. - Roland, '23
Culture differences and being patient - Line, '23
That not all new experiences will be comfortable. - 8th grader, '23
One can never be prepared for EVERYTHING. - Maeve, '23 

What's something you learned by being an exchange student to Germany and living in a host family?
"I learned about all of the German culture and especially Turkish culture as my host family was Turkish. They fed me all of their favorite Turkish dishes and I thoroughly enjoyed every minute I was there." - Lucas, '23
"I also learned that Munich and Bavaria as a whole has an incredibly rich history. " - Roland, '23
"Don't be afraid to ask for help. " - 8th grader, 23
"How to be a good guest but also advocate for myself" - Sophie, '23 

+++
{
  "formula": "C34H34FN3O2ReSSe3Te",
  "method": "the ωB97M-V functional and the def2-TZVPD basis",
  "species": ["Re", "Se", "Se", "Te", "Se", "C", "C", "C", "C", "C", "C", "C", "C", "C", "C", "C", "C", "N", "C", "C", "C", "C", "C", "C", "F", "H", "H", "H", "H", "H", "H", "H", "H", "H", "H", "H", "H", "H", "H", "H", "H", "H", "H", "H", "H", "H", "C", "C", "C", "C", "C", "C", "C", "S", "O", "O", "N", "C", "C", "C", "C", "C", "C", "C", "C", "N", "C", "H", "H", "H", "H", "H", "H", "H", "H", "H", "H", "H", "H", "H"],
  "positions_angstrom": [[-0.07341, -2.07089, 0.56375], [-1.47529, -3.89999, -0.25130], [-1.74724, -4.94391, 1.84144], [-0.80677, -2.79425, 3.05291], [-2.86927, -1.95077, 3.90915], [0.46685, 2.10571, -3.06206], [0.62862, 1.92966, -1.54688], [1.73913, 0.93228, -1.25242], [-0.72653, 1.79053, -0.84186], [-1.37437, 3.01760, -0.70886], [-2.64288, 3.13008, -0.18487], [-3.29571, 1.99371, 0.24902], [-2.70328, 0.73760, 0.16081], [-3.52712, -0.48364, 0.53775], [-4.72423, -0.14732, 1.42308], [-4.03082, -1.21769, -0.70826], [-1.40699, 0.64162, -0.38182], [-0.87793, -0.68784, -0.61870], [-0.99756, -1.07807, -1.97432], [-1.97585, -0.58031, -2.83565], [-2.05337, -1.01100, -4.15015], [-1.15941, -1.94803, -4.65241], [-0.17400, -2.46097, -3.82116], [-0.12931, -2.01010, -2.52590], [0.86003, -2.50059, -1.69655], [1.43469, 2.33676, -3.51162], [-0.21971, 2.91901, -3.30051], [0.09128, 1.19818, -3.53237], [0.98877, 2.89382, -1.17491], [1.74232, 0.62553, -0.21280], [2.70050, 1.39987, -1.47713], [1.67240, 0.04539, -1.87408], [-0.85434, 3.90795, -1.04392], [-3.12016, 4.09834, -0.10791], [-4.29324, 2.08094, 0.65069], [-2.89192, -1.17679, 1.09698], [-5.50849, 0.35909, 0.85409], [-4.44919, 0.47498, 2.27391], [-5.14247, -1.07213, 1.81454], [-4.52767, -0.52413, -1.39234], [-4.75560, -1.97902, -0.41654], [-3.23029, -1.72106, -1.24795], [-2.66656, 0.16304, -2.46345], [-2.82265, -0.60196, -4.79027], [-1.22950, -2.28339, -5.67676], [0.54896, -3.19043, -4.15730], [0.12723, 5.83281, 1.69157], [0.41579, 4.37898, 1.94180], [-0.51757, 3.56234, 2.56127], [-0.26372, 2.21559, 2.78426], [0.95118, 1.68602, 2.37918], [1.90273, 2.48524, 1.75391], [1.62801, 3.82045, 1.53553], [1.35047, 0.03115, 2.84037], [0.17555, -0.44422, 3.54437], [2.60570, 0.08202, 3.53637], [1.50276, -0.86835, 1.49639], [2.79324, -1.32792, 1.17031], [3.97062, -0.62467, 1.18091], [5.18839, -1.24396, 0.83765], [5.23918, -2.56301, 0.48795], [4.04571, -3.31861, 0.47385], [4.00468, -4.69276, 0.15017], [2.82076, -5.36404, 0.18723], [1.64642, -4.66636, 0.51203], [1.63889, -3.37721, 0.80697], [2.83638, -2.69132, 0.81079], [-0.87941, 6.09640, 2.01153], [0.21869, 6.07237, 0.63050], [0.83036, 6.47016, 2.23007], [-1.46891, 3.97786, 2.86862], [-0.99129, 1.58042, 3.26689], [2.85387, 2.07409, 1.44846], [2.36616, 4.44446, 1.04493], [3.97882, 0.40843, 1.49261], [6.09520, -0.65541, 0.86293], [6.17341, -3.04180, 0.22831], [4.92372, -5.19877, -0.11938], [2.75421, -6.41755, -0.03962], [0.69231, -5.17023, 0.55617]],
+++

What happened to the exchange when travel was not possible? The 20/21 "German Travelers' Club" ran as a club open to any interested 8th grader who wanted a virtual pen pal from the Dante Gymnasium! In 21/22, the 8th Grade German Class had pen pals from the Dante Gymnasium.